**Source:**
'''
FeSi2As: relaxed, PBE.

The total DFT energy (no corrections) is -22.30 eV/f.u. The formation energy from raw total energies comes out at 414 meV/atom. The density of states at the Fermi level comes out at 0.49 states/eV/atom. The calculation puts the offset from the most stable computed form at 421 meV/atom.

The space group is I-4m2 (No. 119) and the conventional cell measures 4.029, 4.029 and 6.785 Å, with angles of 90.00, 90.00 and 90.00 degrees. Symmetry generates all atoms from Fe at (0.000, 0.000, 0.000), Si at (0.000, 0.000, 0.500), Si at (0.000, 0.500, 0.750) and As at (0.000, 0.500, 0.250).
'''
**Work order:**
Now search the notes above for the word "DFT" and duplicate each line that has it.
**Solution:**
The total DFT energy (no corrections) is -22.30 eV/f.u. The formation energy from raw total energies comes out at 414 meV/atom. The density of states at the Fermi level comes out at 0.49 states/eV/atom. The calculation puts the offset from the most stable computed form at 421 meV/atom.